The City of Easton’s Climate Action Plan

UPDATE: The City of Easton adopted the draft Climate Action Plan on October 27th, 2021.  Stay tuned for more information as NNC helps kick off implementation of some of the plan’s strategies.

Senior citizens struggle to stay cool in their homes during the summer, doctors see more cases of tick and mosquito-borne illness like West Nile Virus or Lyme disease, areas that haven’t flooded in recent memory experience costly flood damage – these and many other experiences of Easton residents are connected to climate change, and are expected to worsen in the coming decades.

A climate action plan (CAP) is a collective game plan for city government, community organizations, schools, individuals, and local businesses to respond to the ways climate change affects our residents and to reduce the greenhouse gas emissions we put into the atmosphere.

The plan lays out strategies that can improve air quality in the Lehigh Valley, make Easton residents’ homes more comfortable in both winter and summer, ensure future development reflects residents’ vision for their city, create new economic opportunities, enhance natural spaces where people can go to relieve stress and have fun, and more. This plan belongs to and affects all of us – so make your voice heard and let us know what is important!  The current plan is available here.

Please sign up for an account on ISeeChange and help us document heat impacts in the City. Information on this project is hereThe Nurture Nature Center is asking community members to collect and report observations related to heat. How is heat impacting you? How does heat vary around the City – are certain areas hotter than others? Where is shade needed? This information will inform climate action strategies and adaptation measures in Easton’s Climate Action Plan – efforts can target those areas needing heat relief.

Here are some examples of actions the plan might recommend:

Lafayette College currently requires all new
buildings and major renovations to meet LEED silver standards for sustainability. The plan could encourage similar commitments from other institutions.

Easton already has several sites for urban farming. The plan could suggest ways of expanding access to the food grown in the city, whether through outreach efforts, creating additional garden sites, or other means.

Molecular data, kept here for reference =
____________
A 12-piece molecular cluster, H24O12 overall. Source: the Open Molecules 2025 dataset; level of theory: the ωB97M-V functional and the def2-TZVPD basis.

Its LUMO energy is -0.35 eV. As for the net charge: 0. As for the SMILES: O.O.O.O.O.O.O.O.O.O.O.O. For the HOMO energy, the calculation gives -9.94 eV. As for the orbital gap: 9.59 eV. Its multiplicity is 1. As for the energy above the lowest of the compared OMol25 structures with the same formula, charge and spin: 34.25 kcal per mole. The electronic energy is -917.27078 Ha.

Positions of all 36 atoms, in Å:
O 4.03035 0.46665 2.45680
H 4.49657 0.18047 3.24637
H 3.10175 0.24854 2.62848
O -3.23306 1.06252 -0.50629
H -2.32109 0.91022 -0.78480
H -3.26801 2.00203 -0.30531
O 3.19530 -0.24506 -0.30553
H 3.54037 -1.13925 -0.23088
H 3.57174 0.23226 0.44445
O -0.16054 -0.18942 0.45466
H 0.65775 -0.26472 0.96687
H 0.11932 0.16211 -0.40007
O -2.43784 -1.21017 -2.64789
H -3.21713 -0.67733 -2.82488
H -1.71663 -0.56466 -2.53660
O -3.78754 -0.69706 1.70789
H -3.08126 -0.72668 1.05559
H -4.00896 -1.61875 1.86159
O -0.93468 2.10240 1.91400
H -1.38808 1.61995 2.61109
H -0.50370 1.41729 1.37823
O -0.74086 0.85747 -2.17856
H 0.17847 0.59768 -2.34770
H -0.83985 1.70027 -2.63077
O -1.87549 -2.25496 0.15089
H -1.72989 -2.61061 -0.73027
H -1.28942 -1.47978 0.20522
O 0.96781 -0.75399 -2.16970
H 1.62800 -0.47243 -1.52431
H 0.76728 -1.66508 -1.93722
O 1.86408 1.73398 -1.96246
H 2.53480 1.14833 -1.58966
H 2.32719 2.22365 -2.64885
O 1.37018 -0.51056 2.76931
H 0.62660 -0.19481 3.29584
H 1.55645 -1.39051 3.11447

For reference, the natural (NBO) charges in units of e are: atom 1 (O): -0.983, atom 2 (H): 0.480, atom 3 (H): 0.496, atom 4 (O): -0.952, atom 5 (H): 0.480, atom 6 (H): 0.469, atom 7 (O): -0.997, atom 8 (H): 0.491, atom 9 (H): 0.519, atom 10 (O): -0.985, atom 11 (H): 0.501, atom 12 (H): 0.501, atom 13 (O): -0.990, atom 14 (H): 0.475, atom 15 (H): 0.489, atom 16 (O): -0.957, atom 17 (H): 0.491, atom 18 (H): 0.462, atom 19 (O): -0.964, atom 20 (H): 0.465, atom 21 (H): 0.481, atom 22 (O): -1.006, atom 23 (H): 0.516, atom 24 (H): 0.483, atom 25 (O): -0.986, atom 26 (H): 0.477, atom 27 (H): 0.486, atom 28 (O): -0.953, atom 29 (H): 0.490, atom 30 (H): 0.493, atom 31 (O): -0.963, atom 32 (H): 0.485, atom 33 (H): 0.481, atom 34 (O): -0.969, atom 35 (H): 0.503, atom 36 (H): 0.491


[1]
Entry from the OMol25 dataset: a structure of composition H3OPS (ωB97M-V with the def2-TZVPD basis set).

Last column: Mulliken charge in e.
CARTESIAN COORDINATES (ANGSTROEM)
O -0.822 -1.004 -0.067  -0.4949
P -0.036 0.320 0.258  0.3890
S 1.860 -0.050 -0.116  -0.4423
H -0.192 -1.454 -1.003  0.3865
H -0.238 0.968 1.481  0.1042
H -0.571 1.220 -0.553  0.0575

Results
energy relative to the best compared isomer or geometry (same formula, charge and spin)	0.9229	eV
HOMO-LUMO gap	9.185	eV
maximum force	5.361	eV/Å

[2]
Entry from the OMol25 dataset: a structure of composition H3OPS2 (ωB97M-V with the def2-TZVPD basis set).
____________
End of the molecular data =

The plan could lay out a process for identifying the areas in the city where people are most susceptible to heat-related illness in order to increase green space and other interventions there.

As in the Bethlehem CAP, the plan could propose a feasibility assessment for generating renewable energy on City-owned land.

If a goal of the plan is to reduce waste sent to landfills, one strategy could be to expand composting by offering residential curbside pickup.

Have your own creative idea for reducing greenhouse gas emissions or making Easton more prepared for climate impacts? Let us know! Residents know Easton best, and your ideas are crucial to a successful plan.

Looking for more ideas?

Reach out and share your ideas, concerns and comments here.

Additional information:

Learn about climate science and predicted climate impacts locally and globally
• NASA, Climate Change: How Do We Know? – With engaging visuals and easy to understand language, NASA summarizes evidence, causes, and effects of climate change.
• Fourth National Climate Assessment – While this entire report, which is prepared by the U.S. Global Change Research Program (USGCRP) for Congress and the President every 4 years, is very long, the website lists all chapters so you can select what you are interested in learning more about – from the climate science to projections for various climate impacts to potential responses.
• The FAQ page for the assessment answers many common questions about climate change.
• Climate Explorer – This tool includes maps and charts that depict impacts of climate change at the city and county level. We can see that Easton can expect to experience warmer average temperatures, more days above 90°F, and potentially more extreme precipitation.

Addressing your individual footprint
• Reduce Your Carbon Footprint at Work, Center for Climate and Energy Solutions – Suggestions for energy efficiency and reducing waste specific to the workplace.
• Teaching Climate: Human Responses to Climate Change – A wide variety of educational resources focused on how individuals, communities, businesses, and governments can respond to climate change.